Step one in growing and launching a business is what I call Grow Up. Get your mindset for entrepreneurship. What this means is that maturity does not solely come from experience, age, wisdom or longevity. It comes from decisiveness. When you decide to stop living small and embrace your possibility, that’s when you reach full maturity.
Remember, coaching is a business. It’s a passion and for most of us it’s a calling, but at the end of the day you’re becoming an entrepreneur and it is a business. You may need to change your thinking to be more business-oriented, as many coaches do.
When I got my mindset for entrepreneurship, when I decided I knew that I could design my own destiny and that I wanted to be an entrepreneur, everything aligned. The teachers I needed showed up, the money flowed, and I became a center of influence.
Data records that have nothing to do with the article.
********
Model 1:
Formula: C8H10O2
Source: the OMol25 dataset
Level of theory: ωB97M-V/def2-TZVPD

Values from the calculation:
* HOMO-LUMO gap: 9.9 eV
* multiplicity: 1
* HOMO level: -9.29 eV
* total charge: 0

Each line ends with the Löwdin charge.
Positions of all 20 atoms, in Å:
C -4.160 1.205 -0.630  -0.63
C -3.396 0.464 -1.606  -0.01
C 2.798 0.340 1.596  -0.13
C 3.579 0.300 0.459  -0.11
C 3.508 -0.835 -0.369  -0.07
C 2.314 -1.574 -0.331  -0.14
C 1.512 -1.630 0.732  -0.08
C 1.808 -0.580 1.711  -0.09
H -4.489 1.701 1.150  0.08
H -3.924 0.352 -2.552  0.08
H -2.489 1.328 -1.661  0.18
H -3.040 -0.578 -1.290  0.11
H 2.739 1.413 2.130  0.15
H 4.322 0.997 0.261  0.08
H 4.013 -0.706 -1.406  0.13
H 2.147 -2.285 -1.084  0.08
H 0.697 -2.248 0.823  0.07
H 0.898 -0.778 2.375  0.12
O -4.994 1.932 -1.038  0.10
O -3.842 1.184 0.731  0.09

Model 2:
Formula: C8H10O2
Source: the OMol25 dataset
Level of theory: ωB97M-V/def2-TZVPD

Values from the calculation:
* HOMO-LUMO gap: 10.0 eV
* multiplicity: 1
* HOMO level: -9.00 eV
* total charge: 0

Each line ends with the Löwdin charge.
Positions of all 20 atoms, in Å:
C 1.852 1.374 -0.908  -0.09
C -0.178 0.691 -0.030  -0.26
C -1.409 1.295 -0.070  0.00
C -2.631 0.578 -0.078  -0.08
C -2.565 -0.802 -0.076  -0.11
C -1.322 -1.418 -0.117  0.00
C -0.126 -0.666 -0.073  -0.24
C 1.781 -1.200 1.109  -0.08
H 2.456 0.364 -0.794  0.11
H 2.573 2.261 -0.831  0.10
H 1.298 1.431 -1.923  0.12
H -1.349 2.369 -0.092  0.12
H -3.611 1.101 -0.123  0.11
H -3.490 -1.425 -0.002  0.12
H -1.288 -2.512 -0.182  0.12
H 1.986 -0.142 1.311  0.09
H 1.248 -1.651 1.925  0.09
H 2.740 -1.760 0.850  0.12
O 0.970 1.468 0.204  -0.13
O 1.066 -1.356 -0.099  -0.12

Model 3:
Formula: C8H10O2
Source: the OMol25 dataset
Level of theory: ωB97M-V/def2-TZVPD

Values from the calculation:
* HOMO-LUMO gap: 9.9 eV
* multiplicity: 1
* HOMO level: -9.17 eV
* total charge: 0

Each line ends with the Löwdin charge.
Positions of all 20 atoms, in Å:
C 0.593 1.955 -0.856  -0.07
C -0.329 0.938 -1.281  -0.09
C -1.513 0.681 -0.507  -0.13
C -1.679 1.291 0.671  -0.13
C -0.775 2.318 1.113  -0.10
C 0.348 2.692 0.388  -0.09
C 0.754 -2.171 -0.022  -0.57
C 1.522 -1.393 0.904  -0.01
H 1.522 2.195 -1.469  0.11
H -0.089 0.404 -2.245  0.11
H -2.299 -0.036 -0.896  0.13
H -2.412 0.812 1.335  0.11
H -0.800 2.630 2.153  0.09
H 0.981 3.492 0.648  0.08
H -0.631 -3.566 -0.050  0.15
H 2.473 -1.139 0.480  0.09
H 1.010 -0.436 1.203  0.10
H 1.617 -1.982 1.886  0.12
O 0.894 -2.151 -1.260  0.04
O -0.256 -2.880 0.572  0.06

model 3 is favored, and the nearest alternative lies 1.161 eV above it.

~~~~~

Density functional theory data (the ωB97M-V functional and the def2-TZVPD basis) for a cluster of 2 separate species, C26H20ClN2O4S in total at a distorted geometry.

Each line ends with the natural charge from an NBO analysis.
CARTESIAN COORDINATES (ANGSTROEM)
N (-5.658, 2.072, 4.277)  -0.338
C (-4.516, 1.996, 4.031)  0.294
C (-3.117, 1.874, 3.710)  -0.214
C (-2.523, 0.609, 3.707)  -0.120
********
You’ve got to get to a level of maturity and get your mind set for entrepreneurship first. Then follow your passion and what you love and know will become your niche.
Misplaced quantum chemistry results:
+++
Entry from OMol25: a single C4H7NO molecule (ωB97M-V/def2-TZVPD).

**Electronic energy**: -7797.71301 eV
**Net charge**: 0
**Relative energy (zero: lowest compared OMol25 entry of this formula, charge and spin)**: 1.9314 eV
**Structure (SMILES)**: C[C@H]1CN1C=O

Each line ends with the natural charge from an NBO analysis.
Positions of all 13 atoms, in Å:
C  -1.590  0.076  0.464  -0.632
C  -0.395  -0.744  0.046  -0.037
C  0.500  -0.511  -1.127  -0.253
N  1.012  -0.376  0.213  -0.446
C  1.583  0.854  0.496  0.525
O  2.133  1.534  -0.344  -0.573
H  -1.682  0.104  1.556  0.219
H  -2.492  -0.423  0.085  0.226
H  -1.572  1.097  0.075  0.219
H  -0.527  -1.796  0.299  0.202
H  0.841  -1.379  -1.675  0.202
H  0.593  0.440  -1.649  0.226
H  1.594  1.126  1.560  0.123


{
  "formula": "C39H100O33S9",
  "method": "ωB97M-V with the def2-TZVPD basis set",
  "elements": ["S", "S", "S", "S", "S", "S", "S", "S", "S", "O", "O", "O", "O", "O", "O", "O", "O", "O", "O", "O", "O", "O", "O", "O", "O", "O", "O", "O", "O", "O", "O", "O", "O", "O", "O", "O", "O", "O", "O", "O", "O", "O", "C", "C", "C", "C", "C", "C", "C", "C", "C", "C", "C", "C", "C", "C", "C", "C", "C", "C", "C", "C", "C", "C", "C", "C", "C", "C", "C", "C", "C", "C", "C", "C", "C", "C", "C", "C", "C", "C", "C", "H", "H", "H", "H", "H", "H", "H", "H", "H", "H", "H", "H", "H", "H", "H", "H", "H", "H", "H", "H", "H", "H", "H", "H", "H", "H", "H", "H", "H", "H", "H", "H", "H", "H", "H", "H", "H", "H", "H", "H", "H", "H", "H", "H", "H", "H", "H", "H", "H", "H", "H", "H", "H", "H", "H", "H", "H", "H", "H", "H", "H", "H", "H", "H", "H", "H", "H", "H", "H", "H", "H", "H", "H", "H", "H", "H", "H", "H", "H", "H", "H", "H", "H", "H", "H", "H", "H", "H", "H", "H", "H", "H", "H", "H", "H", "H", "H", "H", "H", "H"],
+++
Actually I don’t like the word niche. I think it actually holds a lot of coaches back and a lot of people get stuck on “What is my niche?” and a little obsessed about it. It is very important and you have to have a target market, but I’ve re-languaged that to be ‘who needs you most?’ Follow what you love and what you know will become who needs you most.
Think about what you cannot get enough of. What or who just fires you up and you could talk about it for days? It’s the kind of thing that people have to shut you up because you’re so impassioned you want to share it. That’s your target market. That’s your hive. Those are the people who need you most.
[Unrelated to this page: molecular data]
Record 1
{
  "formula": "C8H14FN2",
  "method": "wB97M-V/def2-TZVPD",
  "relative_energy_kj_mol": 425.7,
  "spin_multiplicity": 1,
  "total_charge": 1,
  "e_homo_ev": -12.910,
  "species": ["C", "C", "C", "C", "C", "C", "C", "C", "N", "N", "F", "H", "H", "H", "H", "H", "H", "H", "H", "H", "H", "H", "H", "H", "H"],
  "coordinates": [[1.846, 3.003, -0.501], [3.136, -1.667, -1.847], [1.008, 2.176, 0.049], [3.001, -1.402, -0.544], [-0.208, 0.956, 1.966], [-3.447, -1.130, -0.886], [-0.877, -0.374, 1.594], [-2.254, -1.002, -0.374], [0.159, 1.506, 0.635], [-1.699, 0.082, 0.389], [1.676, -1.130, -0.251], [1.736, 4.009, -0.588], [2.828, 2.730, -1.079], [2.416, -1.479, -2.610], [4.018, -1.998, -2.211], [-0.804, 1.780, 2.296], [0.719, 0.764, 2.572], [-3.466, -2.042, -1.436], [-4.211, -0.518, -0.622], [-0.339, -1.191, 1.078], [-1.370, -0.740, 2.494], [-1.428, -1.831, -0.572], [3.517, -1.477, 0.306], [-2.394, 0.750, 0.763], [-0.798, 0.855, -0.022]],
  "lowdin_charge": [0.078, 0.073, -0.086, -0.120, -0.092, 0.069, -0.100, -0.181, 0.021, -0.047, -0.081, 0.034, 0.131, 0.069, 0.025, 0.129, 0.154, 0.074, 0.044, 0.112, 0.135, 0.165, 0.068, 0.172, 0.153]
}

***

Record 2
{
  "formula": "C40H44N4P",
  "method": "wB97M-V/def2-TZVPD",
  "relative_energy_kj_mol": 268.8,
  "spin_multiplicity": 1,
  "total_charge": 1,
  "e_homo_ev": -8.900,
  "species": ["C", "N", "C", "C", "C", "C", "C", "P", "C", "C", "C", "C", "N", "C", "C", "C", "C", "C", "C", "C", "C", "N", "C", "C", "C", "C", "C", "C", "H", "H", "H", "H", "H", "H", "H", "H", "H", "H", "H", "H", "H", "H", "H", "H", "H", "H", "H", "H", "H", "H", "H", "H", "H", "H", "H", "H", "H", "H", "C", "N", "C", "C", "C", "C", "C", "C", "C", "C", "C", "C", "C", "C", "C", "C", "C", "H", "H", "H", "H", "H", "H", "H", "H", "H", "H", "H", "H", "H", "H"],
You might be like me. I was literally niche-phobic for almost a year. I could not decide what my niche was; I wanted it all. My business was growing nicely but I could feel that there was a weight that was keeping me from really exploding.
I now know that if I had gotten that target market – who needs you most – earlier, and if I had committed to that, I probably would have built my business in double time.
Most coaches have the problem that we want to help everyone, and that often ends up helping no one. We see the needs all around us, but it doesn’t mean we can help them all.
I knew very early on I was meant to work with other entrepreneurs, but I kept saying, “You know what? I just started building my business myself. I couldn’t possibly do that. Look at me. I’ve just started.” Even though my instincts and my gut were telling me that’s what I’m supposed to do, I ignored it for quite a while.
It was in my bones. Had I just embraced that I would have done things with less stress and even faster than I did them.
Getting your mindset right and understanding who needs you most are two factors that will be instrumental in bringing success to your coaching business.
I’d like to invite you to learn how to help more people, make more money and enjoy more freedom with the free 5-day mini course, “Awakening Your Authentic Entrepreneur,” at
Suzanne Evans is best known as the ‘action expert’ and has coached hundreds of solopreneurs to model her multiple six figure business.